RAMALLAH, Palestinian Territory -- Security forces of the rival Palestinian governments routinely use torture and arbitrary arrests, among other tactics, to quash dissent by peaceful activists and political opponents, Human Rights Watch said Tuesday.

The charges came in a new report released by the New York-based watchdog, following a two-year investigation that included interviews with nearly 150 people, many of them ex-detainees. It accused both the Western-backed Palestinian Authority in the West Bank and the Islamic militant Hamas in Gaza of using "machineries of repression" to stifle criticism.

Human Rights Watch also said the systematic use of torture could amount to a crime against humanity under the United Nations' Convention against Torture, and called on countries that provide funding to Palestinian law enforcement to suspend their assistance.

Palestinian President Mahmoud Abbas' government joined the convention after Palestine was accepted as a nonmember state at the U.N.

"Palestinian authorities have gained only limited power in the West Bank and Gaza, but yet, where they have autonomy, they have developed parallel police states," said Tom Porteous, deputy program director at Human Rights Watch. "Calls by Palestinian officials to safeguard Palestinian rights ring hollow as they crush dissent."

According to HRW, the Palestinian leaderships in the West Bank and Gaza engage in similar tactics, in most cases without holding anyone to account.

Among the alleged abuses: whipping people's feet, forcing detainees into painful stress positions, hoisting up people's arms behind their backs with rope and coercing suspects into granting access to their mobile phones and social media accounts.

The group's director for Israel and the Palestinian territories, Omar Shakir, told a news conference that the Palestinian Authority detained 220 Palestinians without charge or trial for their social media posts, including 65 university students and two journalists. He claimed Hamas authorities in Gaza have detained over 45 people for their social media activity.

"These numbers do not speak to the scale which both authorities have gone to in order to shut down dissent," Shakir said.

Both Hamas and the Fatah-led Palestinian Authority denied the accusations.

The two Palestinian factions split in 2007 after Hamas violently seized the Gaza Strip from forces loyal to Abbas. For more than a decade, Hamas has maintained an iron grip on power and suppressed any signs of public dissent, including street protests and on social media.

Despite having Western backing, Abbas has also silenced dissent in the areas of the West Bank he administers under past agreements with Israel. Last year, he clamped down on social media and news websites with a vaguely worded decree that critics say allows his government to jail anyone on charges of harming "national unity" or the "social fabric."

Abbas' security forces also work closely with Israel to keep Hamas in check in the West Bank. Critics accuse Israel of holding Palestinian detainees without charge for extended periods and also of torture.

Mohammed Khatib, a 20-year-old law student and activist with Hamas' student branch in the West Bank, told The Associated Press he was arrested last month and held for 19 days at an intelligence centre in Ramallah. He said he was forced to stand for hours at a time and hung by his handcuffed hands to a door for 15 minutes, a stress position meant to cause pain but leave no sign of injury.

"This is not only a violation of human rights, it is a violation of human dignity, a violation of basic morals," he said, adding that he believed the aim was to intimidate him.

HRW's report also highlights other tactics used to silence Palestinian dissent and punish activists, among them the seizing of phones, leaving investigations and charges open, and coercing detainees to promise to stop any further criticism.

In Gaza, Taghreed Abu Teer, a 47-year-old journalist, told the AP that she was held by Hamas authorities for 11 days and interrogated under "humiliating circumstances" for her activities with the rival Fatah movement.

# Someone pasted records of crystals at this point
+++
(1)
First-principles (SCAN) data for a crystal of Sr2HgW relaxed with PBEsol, as listed in Alexandria via LeMat-Bulk.

Cell lengths 10.972, 10.972, 10.972 Å; angles 17.29, 17.29, 17.29 degrees
Fractional positions:
Sr 0.246 0.246 0.246
Sr 0.754 0.754 0.754
Hg 0.000 0.000 0.000
W 0.500 0.500 0.500

space-group type = R-3m, No. 166
energy of formation = 0.93 eV per atom
mass density = 9133 kg/m³

=====

(2)
First-principles (SCAN) data for a crystal of NaGaAs2Se relaxed with PBEsol, as listed in Alexandria via LeMat-Bulk.

Cell lengths 4.876, 4.876, 5.177 Å; angles 90.00, 90.00, 90.00 degrees
Fractional positions:
Na 0.000 0.000 0.000
Ga 0.500 0.500 0.500
As 0.000 0.500 0.500
As 0.500 0.000 0.500
Se 0.500 0.500 0.000

ΔE_f (raw) = 1.219 eV per formula unit
space-group type = P4/mmm, No. 123
mass density = 4337 kg/m³

=====

(3)
First-principles (SCAN) data for a crystal of Be2NiSb relaxed with PBEsol, as listed in Alexandria via LeMat-Bulk.

Cell lengths 4.498, 4.498, 4.498 Å; angles 131.58, 131.58, 70.89 degrees
Fractional positions:
Be 0.250 0.750 0.500
Be 0.750 0.250 0.500
Ni 0.000 0.000 0.000
Sb 0.500 0.500 0.000

ΔE_f (raw) = 0.783 eV per formula unit
space-group type = I4/mmm, No. 139
mass density = 6609 kg/m³

=====

(4)
First-principles (SCAN) data for a crystal of MnFePb2I relaxed with PBEsol, as listed in Alexandria via LeMat-Bulk.

Cell lengths 5.054, 5.054, 4.861 Å; angles 90.00, 90.00, 90.00 degrees
Fractional positions:
Mn 0.000 0.000 0.000
Fe 0.000 0.000 0.500
Pb 0.000 0.500 0.500
Pb 0.500 0.000 0.500
I 0.500 0.500 0.000

ΔE_f (raw) = 1.554 eV per formula unit
space-group type = P4/mmm, No. 123
mass density = 8722 kg/m³

=====

(5)
First-principles (SCAN) data for a crystal of CoTc2Ir2 relaxed with PBEsol, as listed in Alexandria via LeMat-Bulk.

Cell lengths 6.844, 6.844, 6.844 Å; angles 151.06, 151.06, 41.39 degrees
Fractional positions:
Co 0.000 0.000 0.000
Tc 0.250 0.750 0.500
Tc 0.750 0.250 0.500
Ir 0.404 0.404 0.000
Ir 0.596 0.596 0.000

space-group type = I4/mmm, No. 139
energy of formation = 0.41 eV per atom
mass density = 14174 kg/m³

=====

(6)
First-principles (SCAN) data for a crystal of Ta4Rh relaxed with PBEsol, as listed in Alexandria via LeMat-Bulk.

Cell lengths 5.301, 5.301, 5.301 Å; angles 95.56, 95.56, 143.74 degrees
Fractional positions:
Ta 0.099 0.299 0.398
Ta 0.299 0.901 0.200
Ta 0.701 0.099 0.800
Ta 0.901 0.701 0.602
Rh 0.500 0.500 0.000

space-group type = I4/m, No. 87
energy of formation = -0.27 eV per atom
mass density = 16400 kg/m³

=====

(7)
First-principles (SCAN) data for a crystal of IrS2 relaxed with PBEsol, as listed in Alexandria via LeMat-Bulk.

Cell lengths 11.764, 3.570, 4.707 Å; angles 90.00, 90.00, 90.00 degrees
Fractional positions:
Ir 0.135 0.250 0.029
Ir 0.365 0.750 0.529
Ir 0.635 0.250 0.471
Ir 0.865 0.750 0.971
S 0.052 0.750 0.766
S 0.191 0.750 0.308
S 0.309 0.250 0.808
S 0.448 0.250 0.266
S 0.552 0.750 0.734
S 0.691 0.750 0.192
S 0.809 0.250 0.692
S 0.948 0.250 0.234
+++

She said she was kept in a dark cell for days at a time and forced to stand for lengthy periods. Although she was not physically beaten, she said she could hear the screams of men being tortured nearby, and that at one point, a man with a whip threatened to beat her as well. More than a year and a half later, she still cries when she recalls the "unforgettable experience."

"As long as I was in the cell, I was wondering what had caused me to end up here," she said. She spoke at a relative's home so her six children would not hear about the ordeal.

Abu Teer said interrogators threatened to charge her with collaboration with Israel, widely feared as a stigma, and that most of the questions focused on a three-day trip she made to the West Bank, where she met senior Fatah officials and briefed them about the situation in Gaza. She said interrogators accused her of inciting the Palestinian Authority to make financial cuts and other punitive measures against Gaza, a tactic meant to squeeze Hamas.

She denied all the allegations, saying she had only led protests and lobbied for ending the Hamas-Fatah split.

While she was never charged, Hamas officers advised her "to be quiet" and focus on her home and family, "which I considered a veiled threat rather than advice," she added.

Human Rights Watch also said it has encouraged the International Criminal Court to open an investigation into both Israeli and Palestinian conduct in the Palestinian territories. It called on both Palestinian governments to pledge to stop carrying out arbitrary arrests, end torture and hold credible investigations into allegations of misconduct.

In a rare step, the report also called on countries that provide security assistance to withhold aid until concrete steps are taken to end the practices.

Among the aid is millions of dollars for the West Bank security forces from the U.S., which has continued its support even after slashing hundreds of millions of dollars in other assistance to the Palestinians. The report said Hamas receives assistance from Iran, Qatar and Turkey.

Adnan Damiri, spokesman for the Palestinian security forces in the West Bank, denied any allegation of systematic torture and said authorities investigate claims and punish perpetrators.

"These testimonies are not accurate. They are testimonies of political activists who belong to political parties with political agendas, and of course they will put any blame they can on the Palestinian Authority," he told the AP.

In Gaza, Hamas denied arresting critics or opponents on political grounds. Faraj al-Ghoul, a Hamas lawmaker, said the report was "unfair," and that Human Rights Watch was welcome to inspect the group's prisons.


Associated Press writer Fares Akram in Gaza City, Gaza Strip, contributed to this report